_Given_
{
  "formula": "C2H2O2S2",
  "method": "ωB97M-V with the def2-TZVPD basis set",
  "relative_energy_kj_mol": 223.0,
  "max_force_ev_per_a": 5.075,
  "e_homo_ev": -9.8,
  "multiplicity": 1,
  "smiles": "O=C(S)C(O)=S",
  "gap_ev": 8.55,
  "species": ["C", "C", "H", "H", "O", "O", "S", "S"],
  "xyz": [[-0.23, 0.70, -0.13], [-0.81, -0.83, -0.13], [1.30, 1.75, -0.10], [1.23, -1.01, 0.89], [1.06, 0.72, 0.32], [-2.01, -1.13, -0.23], [-1.00, 2.01, -0.71], [0.47, -2.21, 0.09]]
}


[1]
Computed, not measured: a molecular structure, C34H35As2BrNO5RuSTe, with ωB97M-V with the def2-TZVPD basis set.

Cartesian coordinates (Å):
1 Ru 0.122 -0.336 -0.154
2 O -5.684 -2.115 1.892
3 C -4.490 -1.858 1.319
4 C -3.293 -2.408 1.756
5 C -2.132 -2.045 1.114
6 N -2.063 -1.212 0.057
7 C -3.236 -0.738 -0.358
8 Br -3.297 0.371 -1.877
9 C -4.461 -1.006 0.228
10 H -5.567 -2.715 2.637
11 H -3.249 -3.085 2.599
12 H -1.187 -2.443 1.450
13 H -5.369 -0.573 -0.160
14 C -1.722 3.165 -0.949
15 As -0.292 2.081 -0.189
16 C -0.239 2.916 1.570
17 C 1.263 2.976 -0.967
18 C 1.297 4.354 -1.168
19 C 2.438 4.966 -1.661
20 C 3.565 4.207 -1.945
21 C 3.543 2.839 -1.734
22 C 2.392 2.220 -1.250
23 As 2.309 0.295 -0.989
24 C 3.878 -0.048 0.088
25 C 2.968 -0.318 -2.717
26 H -1.575 4.208 -0.674
27 H -2.674 2.823 -0.551
28 H -1.734 3.062 -2.032
29 H -0.202 3.998 1.440
30 H 0.650 2.582 2.100
31 H -1.127 2.634 2.133
32 H 0.432 4.963 -0.937
33 H 2.451 6.037 -1.819
34 H 4.458 4.681 -2.331
35 H 4.428 2.253 -1.953
36 H 4.736 0.445 -0.366
37 H 4.035 -1.125 0.124
38 H 3.697 0.329 1.089
39 H 3.968 0.089 -2.864
40 H 2.322 0.017 -3.525
41 H 3.013 -1.406 -2.711
42 Te 1.261 -2.762 0.302
43 C 0.423 -4.034 -1.143
44 C -0.815 -4.612 -1.186
45 C -1.053 -5.351 -2.379
46 C 0.016 -5.338 -3.223
47 S 1.305 -4.426 -2.564
48 H -1.543 -4.504 -0.393
49 H -1.975 -5.872 -2.594
50 H 0.106 -5.821 -4.183
51 O 1.533 0.051 1.874
52 C 0.497 0.004 2.584
53 O -0.645 -0.081 2.065
54 C 0.623 0.073 4.071
55 C -0.505 0.285 4.849
56 C -0.423 0.383 6.240
57 C 0.825 0.247 6.793
58 O 1.178 0.318 8.112
59 C 2.567 -0.011 8.163
60 O 3.059 -0.045 6.827
61 C 1.953 0.028 6.018
62 C 1.893 -0.059 4.655
63 H -1.462 0.363 4.352
64 H -1.295 0.558 6.856
65 H 2.687 -0.996 8.623
66 H 3.096 0.759 8.723
67 H 2.767 -0.217 4.040
68 C -0.241 -1.275 -2.779
69 C -0.987 -0.657 -3.842
70 C -2.143 -1.268 -4.345
71 C -2.872 -0.685 -5.366
72 C -2.475 0.533 -5.905
73 C -1.327 1.152 -5.422
74 C -0.589 0.561 -4.412
75 H 0.760 -0.953 -2.583
76 H -0.584 -2.192 -2.327
77 H -2.457 -2.213 -3.917
78 H -3.761 -1.177 -5.741
79 H -3.052 0.994 -6.696
80 H -1.010 2.100 -5.837
81 H 0.295 1.060 -4.028

Summary:
* <S²>: 0.776
* Kohn-Sham gap (spin up / spin down): 6.19 / 6.08 eV
* spin multiplicity: 2
* energy relative to the best compared isomer or geometry (same formula, charge and spin): 37.7 kcal/mol
* HOMO (spin up / spin down): -6.660 / -6.512 eV
* net charge: 0
* lowest unoccupied orbital energy (spin up / spin down): -0.5 / -0.4 eV

[2]
Computed, not measured: a molecular structure, C34H35MnN7Sb, with ωB97M-V with the def2-TZVPD basis set.

Cartesian coordinates (Å):
1 Mn -1.466 0.128 -0.608
2 N -1.541 4.725 -0.457
3 C -1.374 3.462 -0.876
4 N -1.526 2.379 -0.138
5 C -1.752 2.565 1.207
6 N -2.049 1.574 1.987
7 N -2.084 0.411 1.322
8 C -2.590 -0.601 2.020
9 C -2.610 -1.870 1.354
10 C -2.912 -3.065 2.035
11 C -2.712 -4.275 1.385
12 C -2.231 -4.246 0.108
13 C -1.946 -3.049 -0.513
14 N -2.174 -1.855 0.051
15 C -1.763 3.910 1.757
16 C -1.819 4.110 3.168
17 C -1.949 5.395 3.638
18 C -1.930 6.494 2.785
19 C -1.829 6.336 1.424
20 C -1.702 5.023 0.923
21 H -1.476 5.504 -1.131
22 H -1.088 3.321 -1.928
23 H -3.056 -0.449 2.999
24 H -3.299 -3.007 3.055
25 H -2.923 -5.231 1.901
26 H -1.998 -5.183 -0.417
27 H -1.515 -3.028 -1.519
28 H -1.842 3.237 3.806
29 H -2.030 5.579 4.710
30 H -1.983 7.495 3.210
31 H -1.813 7.155 0.705
32 C 6.500 0.288 -0.140
33 C 5.939 0.122 1.124
34 C 4.558 0.044 1.286
35 C 3.728 0.124 0.158
36 C 4.313 0.253 -1.088
37 C 5.693 0.408 -1.229
_Wanted_
Could you give back all of the lines further up character by character?
_Here it is_
{
  "formula": "C2H2O2S2",
  "method": "ωB97M-V with the def2-TZVPD basis set",
  "relative_energy_kj_mol": 223.0,
  "max_force_ev_per_a": 5.075,
  "e_homo_ev": -9.8,
  "multiplicity": 1,
  "smiles": "O=C(S)C(O)=S",
  "gap_ev": 8.55,
  "species": ["C", "C", "H", "H", "O", "O", "S", "S"],
  "xyz": [[-0.23, 0.70, -0.13], [-0.81, -0.83, -0.13], [1.30, 1.75, -0.10], [1.23, -1.01, 0.89], [1.06, 0.72, 0.32], [-2.01, -1.13, -0.23], [-1.00, 2.01, -0.71], [0.47, -2.21, 0.09]]
}


[1]
Computed, not measured: a molecular structure, C34H35As2BrNO5RuSTe, with ωB97M-V with the def2-TZVPD basis set.

Cartesian coordinates (Å):
1 Ru 0.122 -0.336 -0.154
2 O -5.684 -2.115 1.892
3 C -4.490 -1.858 1.319
4 C -3.293 -2.408 1.756
5 C -2.132 -2.045 1.114
6 N -2.063 -1.212 0.057
7 C -3.236 -0.738 -0.358
8 Br -3.297 0.371 -1.877
9 C -4.461 -1.006 0.228
10 H -5.567 -2.715 2.637
11 H -3.249 -3.085 2.599
12 H -1.187 -2.443 1.450
13 H -5.369 -0.573 -0.160
14 C -1.722 3.165 -0.949
15 As -0.292 2.081 -0.189
16 C -0.239 2.916 1.570
17 C 1.263 2.976 -0.967
18 C 1.297 4.354 -1.168
19 C 2.438 4.966 -1.661
20 C 3.565 4.207 -1.945
21 C 3.543 2.839 -1.734
22 C 2.392 2.220 -1.250
23 As 2.309 0.295 -0.989
24 C 3.878 -0.048 0.088
25 C 2.968 -0.318 -2.717
26 H -1.575 4.208 -0.674
27 H -2.674 2.823 -0.551
28 H -1.734 3.062 -2.032
29 H -0.202 3.998 1.440
30 H 0.650 2.582 2.100
31 H -1.127 2.634 2.133
32 H 0.432 4.963 -0.937
33 H 2.451 6.037 -1.819
34 H 4.458 4.681 -2.331
35 H 4.428 2.253 -1.953
36 H 4.736 0.445 -0.366
37 H 4.035 -1.125 0.124
38 H 3.697 0.329 1.089
39 H 3.968 0.089 -2.864
40 H 2.322 0.017 -3.525
41 H 3.013 -1.406 -2.711
42 Te 1.261 -2.762 0.302
43 C 0.423 -4.034 -1.143
44 C -0.815 -4.612 -1.186
45 C -1.053 -5.351 -2.379
46 C 0.016 -5.338 -3.223
47 S 1.305 -4.426 -2.564
48 H -1.543 -4.504 -0.393
49 H -1.975 -5.872 -2.594
50 H 0.106 -5.821 -4.183
51 O 1.533 0.051 1.874
52 C 0.497 0.004 2.584
53 O -0.645 -0.081 2.065
54 C 0.623 0.073 4.071
55 C -0.505 0.285 4.849
56 C -0.423 0.383 6.240
57 C 0.825 0.247 6.793
58 O 1.178 0.318 8.112
59 C 2.567 -0.011 8.163
60 O 3.059 -0.045 6.827
61 C 1.953 0.028 6.018
62 C 1.893 -0.059 4.655
63 H -1.462 0.363 4.352
64 H -1.295 0.558 6.856
65 H 2.687 -0.996 8.623
66 H 3.096 0.759 8.723
67 H 2.767 -0.217 4.040
68 C -0.241 -1.275 -2.779
69 C -0.987 -0.657 -3.842
70 C -2.143 -1.268 -4.345
71 C -2.872 -0.685 -5.366
72 C -2.475 0.533 -5.905
73 C -1.327 1.152 -5.422
74 C -0.589 0.561 -4.412
75 H 0.760 -0.953 -2.583
76 H -0.584 -2.192 -2.327
77 H -2.457 -2.213 -3.917
78 H -3.761 -1.177 -5.741
79 H -3.052 0.994 -6.696
80 H -1.010 2.100 -5.837
81 H 0.295 1.060 -4.028

Summary:
* <S²>: 0.776
* Kohn-Sham gap (spin up / spin down): 6.19 / 6.08 eV
* spin multiplicity: 2
* energy relative to the best compared isomer or geometry (same formula, charge and spin): 37.7 kcal/mol
* HOMO (spin up / spin down): -6.660 / -6.512 eV
* net charge: 0
* lowest unoccupied orbital energy (spin up / spin down): -0.5 / -0.4 eV

[2]
Computed, not measured: a molecular structure, C34H35MnN7Sb, with ωB97M-V with the def2-TZVPD basis set.

Cartesian coordinates (Å):
1 Mn -1.466 0.128 -0.608
2 N -1.541 4.725 -0.457
3 C -1.374 3.462 -0.876
4 N -1.526 2.379 -0.138
5 C -1.752 2.565 1.207
6 N -2.049 1.574 1.987
7 N -2.084 0.411 1.322
8 C -2.590 -0.601 2.020
9 C -2.610 -1.870 1.354
10 C -2.912 -3.065 2.035
11 C -2.712 -4.275 1.385
12 C -2.231 -4.246 0.108
13 C -1.946 -3.049 -0.513
14 N -2.174 -1.855 0.051
15 C -1.763 3.910 1.757
16 C -1.819 4.110 3.168
17 C -1.949 5.395 3.638
18 C -1.930 6.494 2.785
19 C -1.829 6.336 1.424
20 C -1.702 5.023 0.923
21 H -1.476 5.504 -1.131
22 H -1.088 3.321 -1.928
23 H -3.056 -0.449 2.999
24 H -3.299 -3.007 3.055
25 H -2.923 -5.231 1.901
26 H -1.998 -5.183 -0.417
27 H -1.515 -3.028 -1.519
28 H -1.842 3.237 3.806
29 H -2.030 5.579 4.710
30 H -1.983 7.495 3.210
31 H -1.813 7.155 0.705
32 C 6.500 0.288 -0.140
33 C 5.939 0.122 1.124
34 C 4.558 0.044 1.286
35 C 3.728 0.124 0.158
36 C 4.313 0.253 -1.088
37 C 5.693 0.408 -1.229